Owner's manual

The quorum resource is typically a hard drive in the shared storage system that serves the following purposes in a PowerVault
NAS Cluster configuration:
Acts as an arbiter between the cluster nodes to ensure that the specific data necessary for system recovery is
maintained consistently across the cluster nodes
Logs the recovery data sent by the cluster node
Only one cluster node can control the quorum resource at one time. This node continues to run if the two nodes are unable to
communicate with each other. If the two nodes are unable to communicate through the private network, MSCS automatically
**Unrelated to this text: data records:**
-- begin --
Sm8Ho3 | Alexandria via LeMat-Bulk | PBE | relaxed; energy relative to the elements = 0.3680 eV/atom; DOS(E_F) = 12.09 states/eV per cell; space group = R-3
1.0
7.326 -0.216 -1.866
-2.349 6.942 -1.866
-0.160 -0.216 7.558
Ho Sm
3 8
Cartesian
3.583 -0.216 2.846
2.329 3.147 5.692
-1.254 3.363 2.846
1.017 0.313 4.699
0.239 5.446 4.888
3.521 4.759 2.797
1.296 1.751 1.029
5.924 1.822 3.899
-1.107 4.689 -0.073
3.800 6.198 -0.873
-- stop --
**End of the data records:**
shuts down the node that does not contain the quorum resource.
When one of the cluster nodes fails for any reason, changes to the cluster configuration database are logged to the quorum
resource, ensuring that the healthy node gaining control of the quorum resource has access to an up-to-date version of the
cluster configuration database.
Creating a Partition for the Quorum Resource
Dell recommends creating a separate partition—approximately 1 GB in size—for the quorum resource.
When you create the partition for the quorum resource:
Format the partition with NTFS.
Use the partition exclusively for your quorum logs.
Do not store any application data or user data on the quorum resource partition.
To properly identify the quorum resource, Dell recommends that you assign the drive letter "Q" to the quorum resource
Dell does not recommend using the remainder of the virtual disk for other cluster resources. If you do use the space for
cluster resources, be aware that when you create two volumes (partitions) on a single virtual disk, they will both fail over
together if a server fails.
Preventing Quorum Resource Failure
Because the quorum resource plays a crucial role in cluster operation, losing a quorum resource causes the entire cluster to
fail. To prevent cluster failure, configure the quorum resource on a RAID volume in the shared storage system.
NOTICE: Dell recommends that you use a RAID level other than RAID 0, which is commonly called striping. RAID 0
configurations provide very high performance, but they do not provide the level of redundancy that is required for the
quorum resource.
Configuring the Shared Disk for the Quorum Resource
1. Open Dell OpenManage Array Manager.
2. Locate two hard drives of the same size in the external storage system(s).
3. Create a RAID 1 virtual disk.
See your Array Manager documentation for information on installing a virtual disk.